Archived > 2015 July > 02 Morning > 11
-- begin --
# 1
Molecular formula: C32H57N2O2P2Pt
Method: DFT, ωB97M-V/def2-TZVPD

For the LUMO energy (alpha / beta), the calculation gives -0.0971 / -0.1496 hartree. As for the total energy: -2315.25007 Ha. As for the net charge: +1. The expectation value of S² is 2.0277. The energy above the lowest of the compared OMol25 structures with the same formula, charge and spin is 12.2 kcal/mol. As for the largest force on an atom: 5.14 eV/Å. Its multiplicity is 3. For the orbital gap (alpha / beta), the calculation gives 4.18 / 6.47 eV.

Geometry (Å):
H 2.332 4.626 -1.654
C -3.559 0.514 -3.022
H -2.285 1.244 -5.347
C 2.351 -2.272 -0.064
H -2.228 -2.479 -0.878
C 1.452 3.958 1.389
C 2.378 -1.299 -1.235
O 2.262 0.622 2.245
H 1.614 0.134 4.997
C 3.271 -1.393 -2.303
H 0.146 2.292 -2.815
H -2.477 0.829 4.798
C 2.122 0.457 -3.365
C -1.462 4.526 0.633
C 1.642 -4.662 2.278
H -0.476 -5.362 0.761
H 2.480 4.026 1.769
C -2.668 2.360 0.544
C -1.596 3.212 -0.161
H 2.049 -3.099 4.244
H 1.060 1.750 5.064
H -4.071 1.204 -3.703
H 4.042 -2.161 -2.301
H -4.056 -0.458 -3.111
H -0.564 -5.527 -0.990
H -2.407 -4.132 -0.195
H -3.732 0.854 -1.994
C 1.844 -2.462 3.369
H -0.164 -2.118 -2.083
C -0.062 -4.980 -0.179
H 2.704 -3.256 -0.401
H -2.449 5.015 0.634
N -1.453 -0.186 -1.087
H -2.860 4.370 -1.465
H -2.560 2.732 -2.076
H 2.909 1.728 0.195
C 1.326 0.327 1.620
H -1.667 0.176 6.260
H 0.943 -5.483 2.085
H -1.182 4.365 1.681
H -2.351 -1.165 -4.869
C -1.670 1.400 -4.452
H -0.623 1.258 -4.735
P 0.670 -2.386 0.762
C 1.476 3.406 -0.062
H 2.966 2.524 -1.401
H -0.662 -3.773 -2.488
C -0.346 -3.486 -0.383
C 0.764 0.729 5.326
H -1.121 -4.039 2.457
C 2.812 2.684 -0.326
H 0.609 4.338 -1.876
C -1.785 -1.002 -3.942
C 1.309 0.571 -2.237
H 1.041 -3.444 -2.092
H -3.651 2.823 0.365
H 3.057 -1.930 0.714
H -2.077 -1.783 -3.230
C -2.070 0.391 -3.391
H 1.350 -1.552 3.722
C -1.200 0.534 -2.084
C -0.438 0.332 4.523
H -0.907 -2.459 3.250
C 0.952 -3.287 2.431
N 1.479 -0.312 -1.240
P 0.019 2.222 -0.262
H 0.728 0.672 6.415
O -0.289 0.153 3.300
C 3.110 -0.526 -3.381
H -2.029 -2.739 0.859
H 0.883 3.314 2.072
H -2.703 1.329 0.168
H 2.426 -4.652 1.508
C -0.438 -3.435 3.067
C 0.003 -3.177 -1.845
H 1.998 1.145 -4.207
H 2.806 -2.207 2.903
C -1.750 0.094 5.181
H 1.035 4.972 1.439
H 1.012 -5.201 -0.249
H -0.333 -3.941 4.037
C 1.375 4.532 -1.117
C 0.135 1.499 -2.058
H -2.183 -0.871 4.899
H 3.621 3.337 0.034
Pt -0.016 -0.123 0.418
H 3.763 -0.623 -4.251
H -1.299 4.001 -2.202
H -0.763 5.231 0.171
H 2.137 -4.909 3.229
H -0.718 -1.118 -4.165
H -1.816 2.435 -4.134
H -2.499 2.322 1.628
C -2.092 3.585 -1.568
H 1.187 5.501 -0.642
C -1.844 -3.186 -0.128

Atomic partial charges in e from the Mulliken method, atoms 1 to 2: 0.393, -1.734

# 2
Molecular formula: C2HF3O
Method: DFT, ωB97M-V/def2-TZVPD
-- stop --

Videos archived from 02 July 2015 Morning

N24/7 Informa: Expresidenta del CUD: "Todos podemos aportar al país"
Muppets Most Wanted Film Review rhiannatoria
Argentina volverá a exportar carne a EE.UU. después de 14 años
If Justin Bieber Went To Jail
Sprinkler Repair Customer Review - Summit, UT 435-633-6402
J Rosevelt - Country Rap
iPhone 5 Mumbai launch at Phoenix Mills, Lower Parel
Nowy Fiat 126p 1989r - przebieg 27km :) Nigdy nie zarejestrowany. Tylko w Adviser . Zobacz do końca
welding project
Interview de Jean-Philippe Roesch, Directeur Général du groupe Econocom
Maricris Rubio revela detalles de su embarazo (VIDEO)
Savoie : Attaque sur des pompiers volontaires (Duingt)
Diddy Falls On Stage - BET Awards 2015 Best Moments
Faded Paper Figures - METROPOLIS - Music Video
Los Angeles Clippers National anthem by Skylar Stecker
Breastfeeding Awareness Week, Charlotte Church, May 2008
Stagheadz - Decisive Strike - The End of the World
- Starcraft 2
bandicam 2015 03 05 00 26 50 753
- Starcraft 2
- Starcraft 2
Jive Speak Aeroplane!
Lionel Messi y su dramático sufrimiento en los penales ante Colombia (VIDEO)
Call of Duty: Advanced Warfare - NEW EMBLEM GLITCH! UNLOCK ANY EMBLEM (Easy Tutorial)
filhotes de coelhos recem nascidos
#TCH15 - Live Interview: Zalina Slanova
Ankara Sivas Hızlı Tren Projesi Yozgat Şantiyesi Tünelleri
Skrillex & Diplo Where Are Ü Now feat Justin Bieber lyrics
TAG ✿ Le mie Scarpe col Tacco Preferite
Самые лучшие MMORPG онлайн игры
It Gets Better - Eric from Spokane, WA
Jorge Lanata - No te creo nada Kirchnerismo
Riding in the Bike Lane? Pass Left in the Next Lane! Bike PSA
Coletiva Terracap
First in-service Metrolink tram Manchester Victoria to Oldham
2012 GSTL Season 1 Preliminaries, Consolation Match A Set 1
Aktenzeichen XY gelöst: Die Wirkung von Progesteron auf menschliche Spermien
People & Power - Depopulation Hebron - 20 Jun 07
rebal - makeup tutorial
Leven met een beperking
Luis Iberico no cree que haya votos rebeldes en el fujimorismo
WWE: AJ Lee y su emotivo encuentro con Lita ¡hace 15 años! (VIDEO)
- Starcraft 2
- Starcraft 2
Sede de la Unasur llevará nombre de Néstor Kirchner
Shit Hondurans Say: Derivados de Cha-
Monkole, Hospital materno infantil y generalista en Kinshasa
Cinderella Inspired Makeup Tutorial!
Mardan Palace: Номера
- Starcraft 2
FIFA 16 | The E3 Breakdown
- Starcraft 2
Bajo Costo Aceite Pescado Osteoartritis
TRAILER III ● DayZ Standalone
A World of Textile Recycling - DE
25 ย้อนรอยประวัติศาสตร์รัฐประหารไทย รัฐประหาร 19 กันยายน 2549 ผ่านมุมมองไทยรักไทย
Baile Finalistas - Escola Sec. de Paredes 2013
Justin bieber ft chance the rapper cover done by (Alpha)
Sweet Home в Fairy Tale PC Pattern Жесткий че
Tanja, Industriekauffrau 1. Lehrjahr
bOrn to kiLL bY tRamPa
Sophia Valverde cantando Violetta e fazendo palhaçada kkkkkkk
Yılanların Öcü 41.Bölüm izle - Part1
Between two parts of the text: calculated molecules >
-- begin --
C22H26N2O5S | ωB97M-V/def2-TZVPD

Structure (XYZ):
```
56
Properties=species:S:1:pos:R:3:mulliken_charge:R:1
C -2.293 -4.208 0.317 -1.50
C -3.076 -2.936 0.418 0.86
C -4.181 -2.702 -0.389 -0.76
C -4.912 -1.523 -0.325 0.82
C -4.502 -0.543 0.580 0.07
C -3.416 -0.777 1.416 -0.29
C -2.713 -1.962 1.341 -0.93
H -1.868 -2.129 1.992 0.43
H -3.125 -0.017 2.130 0.41
N -5.175 0.703 0.613 -0.24
S -4.636 1.851 -0.497 1.29
O -5.132 3.109 -0.022 -0.72
O -4.975 1.429 -1.820 -0.70
C -2.858 1.792 -0.306 -0.06
C -2.142 0.800 -0.948 -0.70
C -0.785 0.671 -0.716 -0.54
C -0.148 1.548 0.160 0.80
C -0.883 2.557 0.788 -0.74
C -2.240 2.671 0.562 -0.74
H -2.832 3.437 1.038 0.48
H -0.387 3.246 1.457 0.38
N 1.216 1.472 0.441 0.03
C 2.121 0.527 0.046 0.23
O 1.849 -0.442 -0.624 -0.69
C 3.538 0.835 0.511 -0.42
C 4.141 1.910 -0.405 -0.72
C 5.594 2.178 -0.030 -0.81
C 6.405 0.892 -0.148 -0.55
C 5.846 -0.172 0.790 -1.19
H 6.412 -1.100 0.692 0.39
H 5.946 0.173 1.822 0.44
C 4.360 -0.461 0.525 0.27
C 4.200 -1.315 -0.723 0.13
O 4.055 -2.507 -0.681 -0.62
O 4.356 -0.659 -1.880 -0.41
H 4.218 -1.276 -2.615 0.35
H 3.985 -1.096 1.336 0.54
H 7.449 1.082 0.104 0.35
H 6.363 0.536 -1.178 0.29
H 6.006 2.942 -0.691 0.38
H 5.650 2.554 0.995 0.36
H 4.093 1.568 -1.438 0.26
H 3.556 2.830 -0.323 0.46
H 3.514 1.225 1.536 0.70
H 1.565 2.216 1.031 0.24
H -0.218 -0.107 -1.199 0.58
H -2.654 0.140 -1.628 0.52
H -5.163 1.140 1.524 0.48
C -6.115 -1.312 -1.186 -1.59
H -6.952 -0.978 -0.576 0.34
H -5.917 -0.529 -1.916 0.27
H -6.386 -2.228 -1.704 0.44
H -4.488 -3.462 -1.093 0.30
H -2.668 -4.835 -0.487 0.37
H -2.355 -4.767 1.250 0.34
H -1.242 -3.991 0.130 0.31
```

Results
Molecular weight, g mol⁻¹: 430.53
Largest force on an atom, eV/A: 0.88
SMILES string: Cc1ccc(NS(=O)(=O)c2ccc(NC(=O)[C@@H]3CCCC[C@@H]3C(=O)O)cc2)c(C)c1
Total charge: 0
Relative energy (zero: lowest compared OMol25 entry of this formula, charge and spin), kcal/mol: 0.0
-- stop --
The text goes on >
Crime ambiental
- Starcraft 2
Snowbound Blues
Sprinkler Repair Customer Review - Summit, UT 435-633-6402
Fairy Wall Stickers Stars Girl Wall Art Home
4th of July Makeup tutorial
Exercises & Fitness for Pregnant Women : Wall Pushup Exercise for Pregnant Women
How to make a Loom Bands snake charm
La Chine veut-elle conquérir les mers ? (1/2) – 01/07
Remoção famílias
## GPW - Papiery wartościowe w praktyce ##
Ell ft Aligee - I'm Free (Lyrics)
(NOVO) Fatos De Marcelo Dourado BBB 10 - douradofacts [ORIGINAL] O MITO !!
Doraemon italiano la casa sentimentale
Leyendas de terror en el Cementerio de Torreón
Cover of Girls/Girls/Boys by Panic! At The Disco
Cat feeds baby birds from own mouth
Eduardo Roy Gates será investigado por comisión Belaunde Lossio
"Skrillex And Diplo - Where Are Ü Now (Feat. Justin Bieber)" Fan Video
El impresionante incendio en Comas visto desde un drone [VIDEO]
Graveyard Dive @ Lake Jocassee Bobby and The Boys
Panic at the disco- new perspective (vocal cover)
IRSN : Question orale de Philippe Vitel
N. Medtner fairytale op 20 h moll
Molecular data from another source follow =
# C6H9N3O3

C6H9N3O3 in the gas phase in a non-equilibrium geometry (ωB97M-V/def2-TZVPD, the Open Molecules 2025 dataset).

Computed properties:
SMILES ... CN[C@](N)(O)N1C(=O)C=CC1=O
Total energy ... -623.9733 hartree
Lowest unoccupied orbital energy ... -1.2 eV
Kohn-Sham gap ... 7.307 eV
ΔE to the lowest compared entry with this formula, charge and spin ... 1.510 eV
Total charge ... 0

XYZ file:
```
21
Properties=species:S:1:pos:R:3:forces:R:3:mulliken_charge:R:1
C 2.9561 0.4135 -0.5885 -0.59 -0.87 -4.59 -0.81
N 1.6008 0.7315 -0.2079 -2.08 1.16 -0.62 -0.32
C 0.5979 -0.3507 0.1470 2.03 1.06 0.39 0.71
N 0.8967 -0.5855 1.5576 0.83 1.67 -1.69 -0.56
O 0.8411 -1.4361 -0.6945 -0.72 -0.37 -0.39 -0.57
N -0.8654 -0.0131 -0.0032 1.39 -0.19 0.11 -0.07
C -1.8506 -0.9996 -0.0346 0.53 -0.24 0.32 0.67
O -1.6380 -2.1973 -0.0369 -0.56 0.66 -0.13 -0.63
C -3.1378 -0.2654 -0.0336 -3.17 0.85 0.25 -0.56
C -2.9160 1.0606 -0.0004 -0.48 0.89 0.10 -0.39
C -1.4356 1.2398 0.0460 1.89 3.01 -0.43 0.60
O -0.8017 2.3098 0.0436 -1.79 -2.45 0.12 -0.59
H 3.6048 0.2711 0.2003 1.45 0.25 2.03 0.26
H 3.0588 -0.6554 -1.1562 -0.40 2.62 0.70 0.22
H 3.3243 1.3251 -1.2958 -0.59 -2.46 1.71 0.27
H 1.2616 1.5938 -0.6947 -0.06 -1.72 0.91 0.28
H 1.9345 -0.5636 1.6671 -1.65 -0.52 0.31 0.24
H 0.3405 -1.2900 1.9540 -0.07 -1.45 0.71 0.20
H -0.0077 -1.9036 -0.8706 0.95 0.05 0.41 0.33
H -4.1978 -0.7067 0.0032 2.11 0.31 -0.24 0.35
H -3.5667 2.0219 -0.0018 0.98 -2.26 0.03 0.35
```
Positions in Å, forces in eV/Å.

# C6H9N3O4

C6H9N3O4 in the gas phase in a non-equilibrium geometry (ωB97M-V/def2-TZVPD, the Open Molecules 2025 dataset).

Computed properties:
Spin multiplicity ... 3
Total energy ... -699.0281 hartree
Lowest unoccupied orbital energy (alpha / beta) ... 0.3 / -2.6 eV
Kohn-Sham gap (alpha / beta) ... 7.716 / 7.868 eV
ΔE to the lowest compared entry with this formula, charge and spin ... 0.000 eV
Total charge ... 0

XYZ file:
```
22
Properties=species:S:1:pos:R:3:forces:R:3:mulliken_charge:R:1
C 0.6208 1.6046 0.6627 -1.36 3.10 1.26 -0.34
C -0.7712 1.4405 0.4542 3.08 1.02 1.08 0.08
C -3.2599 -0.7528 0.1607 -1.65 -1.58 -0.03 0.45
C 2.0373 -0.2681 -0.2545 -0.70 -1.22 -0.79 0.26
C 1.1813 -1.3804 -0.9115 4.13 0.58 1.01 -1.15
C -2.7171 0.5400 -0.2937 -0.04 3.14 2.48 -0.25
N 1.7124 0.8632 0.3971 -0.26 -0.24 -0.97 -0.05
N 3.3777 -0.5726 0.1017 -0.99 0.37 -0.20 0.99
N -1.3120 0.4722 -0.1655 0.60 -0.88 -0.77 -0.35
O -4.3535 -0.8365 0.6698 0.98 -0.42 -0.48 -0.55
O -2.4164 -1.8091 -0.0520 1.29 2.05 0.16 -0.52
O 3.7762 -1.6694 -0.2147 1.06 -1.53 -0.46 -0.63
O 4.0372 0.2661 0.7556 0.00 0.08 -0.22 -0.74
H 0.8495 2.6300 1.1953 -0.12 -2.38 -1.12 0.20
H -1.2616 2.2626 0.9663 -0.85 -0.01 -0.30 0.25
H 1.9246 -2.0147 -1.4438 -0.53 0.42 0.33 0.40
H 0.4332 -1.1132 -1.5973 -1.31 0.63 -0.10 0.46
H 1.0155 -1.9035 0.0134 -1.40 -0.92 0.07 0.32
H -3.0863 1.3996 0.4271 0.08 -1.75 -1.23 0.26
H -2.9116 0.9369 -1.2627 -0.84 -0.48 -1.10 0.30
H 2.6243 1.2148 0.5936 0.91 1.32 1.20 0.16
Slick Rick - Sittin' In My Car (Album Version) [HQ Video Blend]
The Game Promo
- Starcraft 2
Troll and I™ - Early Game Play Footage - Feb 2015
- Starcraft 2
Maus menza mini edit
the ballad of mona lisa panic at the disco lyrics
Google Glass Test: An Aerial View - Google Glass Channel
How To Play Uptown Funk on Trumpet and Trombone
Spending less time with nest as hatching nears.